Job =
Your job: repeat everything further below exactly.

Excerpt =
Record 1
ORCA calculation (the ωB97M-V functional and the def2-TZVPD basis) on a 2-piece molecular cluster, CH2N3O2 overall in a non-equilibrium geometry.

```
8
Properties=species:S:1:pos:R:3:forces:R:3
C 3.103147 -0.581808 0.103177 0.28 0.43 0.52
N 0.138927 -0.618392 -0.166582 -0.66 1.56 0.00
N -0.333535 0.418127 0.044085 -0.62 0.02 0.02
N 4.016439 0.148562 -0.135557 -2.69 -1.81 -0.50
O 2.090291 -1.197813 0.206717 0.95 -0.76 -0.10
O 5.002019 0.778661 0.001203 2.71 1.72 0.29
H -0.085010 -1.562511 -0.464833 -0.69 -0.60 -0.15
H -1.369308 0.686364 -0.003996 0.73 -0.57 -0.08
```
Positions in Å, forces in eV/Å.

**Total charge**: +1
**Energy relative to the best compared isomer or geometry (same formula, charge and spin)**: 272.55 kJ/mol
**Maximum force**: 3.3 eV/A
**DFT total energy**: -9619.1973 eV
**HOMO energy (alpha / beta)**: -14.196 / -13.888 eV

Record 2
ORCA calculation (the ωB97M-V functional and the def2-TZVPD basis) on C30H36N4Pd as an isolated structure in a non-equilibrium geometry.

```
71
Properties=species:S:1:pos:R:3:forces:R:3
Pd -0.327956 0.563704 -0.139508 5.78 -4.09 0.68
N 2.726445 3.511076 -1.063521 0.49 0.84 -1.41
N 2.042589 -0.817717 -1.454406 1.61 2.82 -1.50
C -2.416930 0.508241 -0.185730 -1.63 0.35 0.88
C -1.932912 0.938856 -1.465327 -0.30 0.74 -0.37
C -1.170352 2.132580 -1.267181 -0.95 1.50 -0.56
C -0.420916 2.955025 -2.248212 0.24 0.40 -0.18
H -0.493111 2.534110 -3.255518 0.17 0.12 0.06
H 0.638830 3.044814 -1.948993 -0.44 -0.04 -0.35
H -0.791690 3.989544 -2.272256 -0.17 0.02 -0.18
C -1.167938 2.434934 0.126427 -0.76 0.77 -0.44
C -0.525989 3.633940 0.719688 0.25 0.34 0.04
H -1.150086 4.527366 0.576315 0.01 0.06 0.06
H 0.444125 3.826325 0.242847 -0.13 0.00 0.10
H -0.359545 3.507141 1.791527 -0.05 0.03 0.00
C -1.936156 1.432331 0.803331 -1.80 0.43 0.20
C -2.237217 1.459428 2.260780 -0.07 0.15 0.26
H -1.302722 1.544140 2.835406 -0.35 -0.08 -0.02
H -2.768732 0.553739 2.576698 0.13 0.13 0.03
H -2.868827 2.329418 2.508754 0.02 -0.14 0.12
C -2.096974 0.223254 -2.757404 -0.08 -0.11 -0.35
H -3.006604 0.540024 -3.289301 0.03 -0.07 -0.01
H -2.165844 -0.861018 -2.595332 0.03 0.18 -0.07
H -1.237612 0.423334 -3.412286 -0.19 -0.15 0.14
C -3.276551 -0.675487 0.085374 -0.26 -0.19 -0.13
H -3.284964 -0.916285 1.156497 0.02 -0.02 -0.25
H -2.899464 -1.556001 -0.452543 -0.20 0.07 0.15
H -4.317855 -0.502693 -0.229008 -0.04 -0.13 0.03
C 3.469083 4.353432 -0.351060 0.76 -0.72 0.78
H 3.303228 5.434017 -0.360511 -0.84 -0.14 -0.06
C 4.550683 3.940881 0.449395 -0.24 0.28 -0.29
H 5.180706 4.633021 1.010937 -0.24 -0.05 -0.16
C 4.728236 2.558168 0.520333 -0.03 -0.90 -0.57
H 5.429459 2.133305 1.229927 0.02 -0.11 0.16
C 4.091088 1.721458 -0.385233 0.18 -0.16 0.18
H 4.147654 0.634359 -0.374920 0.33 0.20 0.11
C 3.294170 2.289727 -1.439827 0.55 0.88 -0.24
C 3.288316 1.872641 -2.839131 -4.49 -0.19 2.11
H 1.814529 1.774419 -2.801616 3.92 0.24 -0.72
C 0.909475 -0.964731 -0.846127 -1.04 1.09 1.39
C 2.619058 -1.977394 -1.840398 -1.54 -0.52 1.17
H 3.533925 -2.003072 -2.442834 -0.46 -0.22 0.46
C 1.770721 -2.920806 -1.329942 0.10 -0.83 0.16
H 1.818745 -3.961078 -1.363946 0.11 -1.64 -0.01
N 0.698544 -2.306110 -0.661372 1.17 -0.20 -1.25
C -0.487611 -2.918698 -0.156996 2.29 0.35 -0.92
C -1.170757 -3.702813 -1.085336 -0.47 -0.12 1.41
C -2.170410 -4.506297 -0.548537 0.10 0.32 0.32
H -2.704634 -5.176668 -1.206189 -0.28 -0.12 -0.01
C -2.448948 -4.469280 0.818690 -0.13 -0.29 0.21
C -3.501974 -5.394603 1.379560 -0.14 -0.13 0.08
H -3.985153 -4.935673 2.259832 0.07 -0.27 -0.36
H -3.052647 -6.355844 1.696319 -0.24 0.34 -0.09
H -4.261692 -5.608816 0.609008 0.16 0.02 0.40
C -1.722770 -3.654441 1.693863 0.05 0.11 -0.56
H -1.917898 -3.678128 2.759562 -0.17 -0.03 0.05
C -0.692752 -2.842440 1.219722 -0.80 -0.77 -0.46
C 0.190592 -2.055295 2.119479 0.16 0.31 0.64
H 1.235519 -2.370207 2.036752 -0.07 0.00 -0.14
H -0.123680 -2.203528 3.158056 0.01 -0.08 0.00
H 0.179027 -0.970627 1.932604 -0.11 -0.39 -0.25
C -0.825194 -3.709424 -2.528469 -0.14 -0.29 -0.83

Outcome =
Record 1
ORCA calculation (the ωB97M-V functional and the def2-TZVPD basis) on a 2-piece molecular cluster, CH2N3O2 overall in a non-equilibrium geometry.

```
8
Properties=species:S:1:pos:R:3:forces:R:3
C 3.103147 -0.581808 0.103177 0.28 0.43 0.52
N 0.138927 -0.618392 -0.166582 -0.66 1.56 0.00
N -0.333535 0.418127 0.044085 -0.62 0.02 0.02
N 4.016439 0.148562 -0.135557 -2.69 -1.81 -0.50
O 2.090291 -1.197813 0.206717 0.95 -0.76 -0.10
O 5.002019 0.778661 0.001203 2.71 1.72 0.29
H -0.085010 -1.562511 -0.464833 -0.69 -0.60 -0.15
H -1.369308 0.686364 -0.003996 0.73 -0.57 -0.08
```
Positions in Å, forces in eV/Å.

**Total charge**: +1
**Energy relative to the best compared isomer or geometry (same formula, charge and spin)**: 272.55 kJ/mol
**Maximum force**: 3.3 eV/A
**DFT total energy**: -9619.1973 eV
**HOMO energy (alpha / beta)**: -14.196 / -13.888 eV

Record 2
ORCA calculation (the ωB97M-V functional and the def2-TZVPD basis) on C30H36N4Pd as an isolated structure in a non-equilibrium geometry.

```
71
Properties=species:S:1:pos:R:3:forces:R:3
Pd -0.327956 0.563704 -0.139508 5.78 -4.09 0.68
N 2.726445 3.511076 -1.063521 0.49 0.84 -1.41
N 2.042589 -0.817717 -1.454406 1.61 2.82 -1.50
C -2.416930 0.508241 -0.185730 -1.63 0.35 0.88
C -1.932912 0.938856 -1.465327 -0.30 0.74 -0.37
C -1.170352 2.132580 -1.267181 -0.95 1.50 -0.56
C -0.420916 2.955025 -2.248212 0.24 0.40 -0.18
H -0.493111 2.534110 -3.255518 0.17 0.12 0.06
H 0.638830 3.044814 -1.948993 -0.44 -0.04 -0.35
H -0.791690 3.989544 -2.272256 -0.17 0.02 -0.18
C -1.167938 2.434934 0.126427 -0.76 0.77 -0.44
C -0.525989 3.633940 0.719688 0.25 0.34 0.04
H -1.150086 4.527366 0.576315 0.01 0.06 0.06
H 0.444125 3.826325 0.242847 -0.13 0.00 0.10
H -0.359545 3.507141 1.791527 -0.05 0.03 0.00
C -1.936156 1.432331 0.803331 -1.80 0.43 0.20
C -2.237217 1.459428 2.260780 -0.07 0.15 0.26
H -1.302722 1.544140 2.835406 -0.35 -0.08 -0.02
H -2.768732 0.553739 2.576698 0.13 0.13 0.03
H -2.868827 2.329418 2.508754 0.02 -0.14 0.12
C -2.096974 0.223254 -2.757404 -0.08 -0.11 -0.35
H -3.006604 0.540024 -3.289301 0.03 -0.07 -0.01
H -2.165844 -0.861018 -2.595332 0.03 0.18 -0.07
H -1.237612 0.423334 -3.412286 -0.19 -0.15 0.14
C -3.276551 -0.675487 0.085374 -0.26 -0.19 -0.13
H -3.284964 -0.916285 1.156497 0.02 -0.02 -0.25
H -2.899464 -1.556001 -0.452543 -0.20 0.07 0.15
H -4.317855 -0.502693 -0.229008 -0.04 -0.13 0.03
C 3.469083 4.353432 -0.351060 0.76 -0.72 0.78
H 3.303228 5.434017 -0.360511 -0.84 -0.14 -0.06
C 4.550683 3.940881 0.449395 -0.24 0.28 -0.29
H 5.180706 4.633021 1.010937 -0.24 -0.05 -0.16
C 4.728236 2.558168 0.520333 -0.03 -0.90 -0.57
H 5.429459 2.133305 1.229927 0.02 -0.11 0.16
C 4.091088 1.721458 -0.385233 0.18 -0.16 0.18
H 4.147654 0.634359 -0.374920 0.33 0.20 0.11
C 3.294170 2.289727 -1.439827 0.55 0.88 -0.24
C 3.288316 1.872641 -2.839131 -4.49 -0.19 2.11
H 1.814529 1.774419 -2.801616 3.92 0.24 -0.72
C 0.909475 -0.964731 -0.846127 -1.04 1.09 1.39
C 2.619058 -1.977394 -1.840398 -1.54 -0.52 1.17
H 3.533925 -2.003072 -2.442834 -0.46 -0.22 0.46
C 1.770721 -2.920806 -1.329942 0.10 -0.83 0.16
H 1.818745 -3.961078 -1.363946 0.11 -1.64 -0.01
N 0.698544 -2.306110 -0.661372 1.17 -0.20 -1.25
C -0.487611 -2.918698 -0.156996 2.29 0.35 -0.92
C -1.170757 -3.702813 -1.085336 -0.47 -0.12 1.41
C -2.170410 -4.506297 -0.548537 0.10 0.32 0.32
H -2.704634 -5.176668 -1.206189 -0.28 -0.12 -0.01
C -2.448948 -4.469280 0.818690 -0.13 -0.29 0.21
C -3.501974 -5.394603 1.379560 -0.14 -0.13 0.08
H -3.985153 -4.935673 2.259832 0.07 -0.27 -0.36
H -3.052647 -6.355844 1.696319 -0.24 0.34 -0.09
H -4.261692 -5.608816 0.609008 0.16 0.02 0.40
C -1.722770 -3.654441 1.693863 0.05 0.11 -0.56
H -1.917898 -3.678128 2.759562 -0.17 -0.03 0.05
C -0.692752 -2.842440 1.219722 -0.80 -0.77 -0.46
C 0.190592 -2.055295 2.119479 0.16 0.31 0.64
H 1.235519 -2.370207 2.036752 -0.07 0.00 -0.14
H -0.123680 -2.203528 3.158056 0.01 -0.08 0.00
H 0.179027 -0.970627 1.932604 -0.11 -0.39 -0.25
C -0.825194 -3.709424 -2.528469 -0.14 -0.29 -0.83